Continue reading to learn how you can win this shirt.
## Misplaced calculated crystals
~~~
No. 1
# Fe2B2O5

A relaxed structure of Fe2B2O5 (r2SCAN, the Materials Project database).

## Properties
E_tot = -10.160 eV per atom
energy of formation = -1742 kJ/mol of formula units
total magnetization = 16.0 μB/cell

Cell: 3.212 6.180 9.302 Å, 104.31 90.26 91.57°
Sites, in units of the cell vectors:
1 Fe 0.759 0.637 0.899
2 Fe 0.241 0.363 0.101
3 Fe 0.249 0.795 0.641
4 Fe 0.751 0.205 0.359
5 B 0.657 0.127 0.832
6 B 0.343 0.873 0.168
7 B 0.302 0.323 0.645
8 B 0.698 0.677 0.355
9 O 0.234 0.087 0.178
10 O 0.744 0.311 0.943
11 O 0.256 0.689 0.057
12 O 0.766 0.913 0.822
13 O 0.746 0.473 0.260
14 O 0.238 0.277 0.497
15 O 0.567 0.856 0.297
16 O 0.433 0.144 0.703
17 O 0.762 0.723 0.503
18 O 0.254 0.527 0.740

=====

No. 2
# Nd2MgGe2

A relaxed structure of Nd2MgGe2 (r2SCAN, the Materials Project database).

## Properties
E_tot = -19.011 eV per atom
energy of formation = -415 kJ/mol of formula units
total magnetization = 0.0 μB/cell

Cell: 7.461 7.461 4.389 Å, 90.00 90.00 90.00°
Sites, in units of the cell vectors:
1 Nd 0.679 0.179 0.500
2 Nd 0.321 0.821 0.500
3 Nd 0.179 0.321 0.500
4 Nd 0.821 0.679 0.500
5 Mg 0.500 0.500 0.000
6 Mg 0.000 0.000 0.000
7 Ge 0.880 0.380 0.000
8 Ge 0.120 0.620 0.000
9 Ge 0.380 0.120 0.000
10 Ge 0.620 0.880 0.000
~~~
Exemplifying this month's tag line:
Between two parts of the piece: data records.
-- begin --
1.
Computed, not measured: a geometry-optimized CdN structure at the PBE level of DFT.

Unit cell a=3.3677 b=3.3677 c=3.3677 alpha=60.00 beta=60.00 gamma=60.00
Element x y z (fractional)
N  0.5000  0.5000  0.5000
Cd  0.0000  0.0000  0.0000

## Properties
Energy of formation from the pure elements = 0.860 eV per atom
DFT total energy = -3.59 eV/atom


2.
Computed, not measured: a geometry-optimized KMnTe2 structure at the PBE level of DFT.

Unit cell a=7.7767 b=7.7767 c=7.7767 alpha=147.58 beta=147.58 gamma=46.51
Element x y z (fractional)
Mn  0.7500  0.2500  0.5000
Te  0.3554  0.3554  0.0000
Te  0.6446  0.6446  0.0000
K  0.0000  0.0000  0.0000

## Properties
Energy of formation from the pure elements = -0.675 eV per atom
DFT total energy = -4.60 eV/atom


3.
Computed, not measured: a geometry-optimized MgSi structure at the PBE level of DFT.

Unit cell a=6.2672 b=6.2672 c=5.9002 alpha=90.00 beta=90.00 gamma=139.51
Element x y z (fractional)
Mg  0.0579  0.9421  0.7500
Mg  0.9421  0.0579  0.2500
Mg  0.7842  0.2158  0.7500
Mg  0.2158  0.7842  0.2500
Si  0.4034  0.5966  0.9532
Si  0.4034  0.5966  0.5468
Si  0.5966  0.4034  0.0468
Si  0.5966  0.4034  0.4532

## Properties
Energy of formation from the pure elements = 0.033 eV per atom
DFT total energy = -3.52 eV/atom


> Look up the energy of formation from the pure elements of the third one.

0.033 eV per atom


> energy of formation from the pure elements of number 1 (CdN)?

0.860 eV per atom
-- stop --
Back to the piece.
Intrigue: What really went wrong with the gulf oil rig?
Treachery : “Our operations failed to meet our own standards and the requirements of the law,” BP said in 2007 before pledging to improve its “risk management.” (
Intrepid Teens: Young Olivia Bouler
Since the Gulf Coast oil disaster first broke, I've been mentally paralyzed. How could I post an installment on Bonnie Blogs Green when all I could see was black? My beloved gulf waters were poisoned, creatures by the thousands--members of every major animal class--were dying, good men had been killed in the disaster, and life for hundreds, maybe thousands, of people had been destroyed for a generation or more.
It didn't help the wall of depression when a book blogger wrote a review claiming that kids at her school would never pick up ISLAND STING, a book featuring an environmental club. How much of an adventure/mystery could that be?
Saving the environment? Not an adventurous mystery? On what planet?
Fast forward to a message from ISLAND STING readers who'd been inspired to start an environmental club at their school, then another and another of the same. And yesterday I received a letter from a reader stating, "I also love ISLAND STING because it really shows what a big environmental problem we have to deal with and how kids can help."
And now, in case there are more people like me whose tears have blinded them to any good news, I offer the story of young Olivia Bouler's amazing efforts to save Mother Earth. It just may be my favorite green tween story to date. After you enjoy the video interview, please visit Olivia's Facebook page: You can help no matter your age.
Thank you, Olivia. A wise person once said, "And a little child shall lead them."
I probably should end with an uplifting quote from one of ISLAND STING'S many positive reviews:
Much of the charm of this book is author Doerr's extensive research on the Keys and the deer, which she weaves seamlessly into an action-packed, engaging story. Any residents, visitors, or fans of the Florida Keys will be delighted by the setting, which is almost a character in itself. Doerr masters the "Green Teen" genre by mixing romance, suspense, and humor with current ecological issues. Her upcoming book, STAKEOUT, is sure to follow in this tradition.
In a final bit of good news, ISLAND STING has been chosen as Forsyth County, NC 's online middle school book club read for the month of September. Love it! Encouraging green teens one region at a time.
And now, a giveaway. YAY!!
In celebration of good book news, I'm giving away a class of 2k10 t-shirt (size L) from our debut middle grade and young adult author class trip to BEA (BookExpo America) in New York City. No worries--it's never been worn! Simply enter a comment below for your chance to win the shirt along with a 2k10 bookmark and postcard. Include in your comment the link to a this blog on your Facebook page or Twitter and earn a second chance to win. If no more than 20 comments are made following this post (because lots of folks are on vacation) the contest will roll over to next month. Remember, if you're the lucky winner, I'll have to email you, so if I can't click your comment to find you, please email your address to me. And if at first your comment doesn't post, click the word post a second time.
Remember you can always learn more about ISLAND STING and the Florida Keys at .